herschel j f w

Báo cáo y học: "Ethnomedicinal uses of Hagenia abyssinica (Bruce) J.F. Gmel. among rural communities of Ethiopia" pps

Báo cáo y học: "Ethnomedicinal uses of Hagenia abyssinica (Bruce) J.F. Gmel. among rural communities of Ethiopia" pps

... dried flowers of Hagenia abyssinica They explained that in the former days it was common to barter for two cups of dried flower with one cup of cereal crops like barley or wheat In general, women, ... people in ‘Dheeraa’ town, Ethiopia, mix a pounded flower of Hagenia abyssinica with the root of Croton macrostachyus Hochst ex Del or leaf of Grewia ferruginea Juss for worm expulsion Respondents ... as before, its medicine is still available in local markets for a low price Dried flowers were commonly found in all markets of the study sites In Bale a quarter of a kilo of dried flowers was...

Ngày tải lên: 10/08/2014, 09:21

10 317 0
(Coulson  richardsons chemical engineering) d g peacock, j f  richardson chemical engineering volume 3, third edition  chemical and biochemical reactors  process control butterworth heinemann (1994

(Coulson richardsons chemical engineering) d g peacock, j f richardson chemical engineering volume 3, third edition chemical and biochemical reactors process control butterworth heinemann (1994

... between pressure drop and flowrate 6.2.2 Further methods of measuring volumetric flow 6.2.3 The measurement of mass flow 6.2.4 The measurement of low flowrates 6.2.5 Open channel flow 6.2.6 Flow ... countries www.elscvier.com I www.bookaid.org I www.sahre.org Contents PREFACE TO THIRD EDITION xiii PREFACE TO SECOND EDITION xv PREFACE TO FIRST EDITION xvi ACKNOWLEDGEMENTS xviii LISTOF CONTRIBUTORS ... Rate of flow of reactant into volume element (1) Rate of flow of Rate of reactant Rate of accumulation = of reactant within within volume element volume element (3) (4) - reactant out of - removal...

Ngày tải lên: 30/09/2016, 11:18

878 1,5K 1
Matthew j  deluca, nanette f  deluca   24 hours to the perfect interview (2004)

Matthew j deluca, nanette f deluca 24 hours to the perfect interview (2004)

... invited for interview Prepare for interview Ace the interview Follow-up after interview Additional follow-up BINGO! Get job offer Negotiate job offer Accept job offer Start new job Enjoy new job Figure ... funds dwindle down to fumes? Knowing what you want and what you can offer is a huge part of preparing for any interview If you were selling cars, you would be expected to have a wealth of information ... of that effort will lead to employment Effort is needed to find a job, but there is no rule that says for spending X amount of effort you then have a right to expect to be offered a job (See Figure...

Ngày tải lên: 16/03/2014, 08:42

241 310 0
conte r., magri f., musette m., satsuma j, and winternitz p. direct and inverse methods in nonlinear evolution equations, greco a. m.

conte r., magri f., musette m., satsuma j, and winternitz p. direct and inverse methods in nonlinear evolution equations, greco a. m.

== Unrelated to this page: crystal structures ==
'''
*w*
# PBE+U Cr2FeNO8, optimized geometry
# * V: 744.2 Å³ per cell
# * total magnetic moment: 8.887 μB/f.u.
# * calculated density: 2.69 Mg/m³
# * symmetry: P2_1/c (14)
data_Cr2FeNO8
_chemical_formula_sum 'Cr8 Fe4 N4 O32'
_cell_length_a 5.612
_cell_length_b 15.626
_cell_length_c 10.094
_cell_angle_alpha 90.00
_cell_angle_beta 122.77
_cell_angle_gamma 90.00
_space_group_name_H-M_alt 'P 1'
_space_group_IT_number 1
_space_group_name_Hall 'P 1'
loop_
_atom_site_label
_atom_site_fract_x
_atom_site_fract_y
_atom_site_fract_z
Cr1 0.094 0.081 0.360
Cr2 0.094 0.419 0.860
Cr3 0.207 0.117 0.961
Cr4 0.207 0.383 0.461
Cr5 0.793 0.617 0.539
Cr6 0.793 0.883 0.039
Cr7 0.906 0.581 0.140
Cr8 0.906 0.919 0.640
Fe1 0.481 0.554 0.740
Fe2 0.481 0.946 0.240
Fe3 0.519 0.054 0.760
Fe4 0.519 0.446 0.260
N1 0.264 0.706 0.001
N2 0.264 0.794 0.501
N3 0.736 0.206 0.499
N4 0.736 0.294 0.999
O1 0.009 0.162 0.243
O2 0.009 0.338 0.743
O3 0.149 0.634 0.642
O4 0.149 0.866 0.142
O5 0.205 0.534 0.172
O6 0.205 0.966 0.672
O7 0.271 0.010 0.320
O8 0.271 0.490 0.820
O9 0.285 0.019 0.041
O10 0.285 0.481 0.541
O11 0.302 0.114 0.550
O12 0.302 0.386 0.050
O13 0.324 0.126 0.838
O14 0.324 0.374 0.338
O15 0.362 0.188 0.098
O16 0.362 0.312 0.598
O17 0.638 0.688 0.402
O18 0.638 0.812 0.902
O19 0.676 0.626 0.662
O20 0.676 0.874 0.162
O21 0.698 0.614 0.950
O22 0.698 0.886 0.450
O23 0.715 0.519 0.459
O24 0.715 0.981 0.959
O25 0.729 0.510 0.180
O26 0.729 0.990 0.680
O27 0.795 0.034 0.328
O28 0.795 0.466 0.828
O29 0.851 0.134 0.858
O30 0.851 0.366 0.358
O31 0.991 0.662 0.257
O32 0.991 0.838 0.757


*x*
# PBE+U Cr2FeNO8, optimized geometry
# * V: 729.1 Å³ per cell
# * total magnetic moment: 8.317 μB/f.u.
# * calculated density: 2.75 Mg/m³
# * symmetry: Pnma (62)
data_Cr2FeNO8
_chemical_formula_sum 'Cr8 Fe4 N4 O32'
_cell_length_a 14.785
_cell_length_b 5.587
_cell_length_c 8.827
_cell_angle_alpha 90.00
_cell_angle_beta 90.00
_cell_angle_gamma 90.00
_space_group_name_H-M_alt 'P 1'
_space_group_IT_number 1
_space_group_name_Hall 'P 1'
loop_
_atom_site_label
_atom_site_fract_x
_atom_site_fract_y
_atom_site_fract_z
Cr1 0.066 0.250 0.183
Cr2 0.160 0.250 0.742
Cr3 0.340 0.750 0.242
Cr4 0.434 0.750 0.683
Cr5 0.566 0.250 0.317
Cr6 0.660 0.250 0.758
Cr7 0.840 0.750 0.258
Cr8 0.934 0.750 0.817
Fe1 0.157 0.750 0.995
Fe2 0.343 0.250 0.495
Fe3 0.657 0.750 0.505
Fe4 0.843 0.250 0.005
N1 0.126 0.750 0.468
N2 0.374 0.250 0.968
N3 0.626 0.750 0.032
N4 0.874 0.250 0.532
O1 0.026 0.750 0.928
O2 0.038 0.250 0.360
O3 0.053 0.250 0.714
O4 0.130 0.005 0.147
O5 0.130 0.495 0.147
O6 0.188 0.005 0.845
O7 0.188 0.495 0.845
O8 0.215 0.250 0.574
O9 0.285 0.750 0.074
O10 0.312 0.505 0.345
O11 0.312 0.995 0.345
O12 0.370 0.505 0.647
O13 0.370 0.995 0.647
O14 0.447 0.750 0.214
O15 0.462 0.750 0.860
O16 0.474 0.250 0.428
O17 0.526 0.750 0.572
O18 0.538 0.250 0.140
O19 0.553 0.250 0.786
O20 0.630 0.005 0.353
O21 0.630 0.495 0.353
O22 0.688 0.005 0.655
O23 0.688 0.495 0.655
O24 0.715 0.250 0.926
O25 0.785 0.750 0.426
O26 0.812 0.505 0.155
'''

... ∃ f0 (x, t) = : f2 = a2 W −1 f0 , h1 = a2 W −1 f0 , U notation W = e + (2/α)g0,xt , √ : f3 = − a2 W −1 f0 g0,t − f1 g0,x − g0,x + g0,xx , : f1 = Wx /W + 2g0,x , : h2 = Wt /W + 2g0,t − f0 ,t /f0 ... singularity orders of u and E(u), −p the rank at which the series for u stops, and −q the corresponding rank of the series for E −p −q uj Z j+ p , u0 u−p = 0, E = u= j= 0 Ej Z j+ q , (155) j= 0 in which the ... two, then three, then , for the unknown Lax pair, and define one or two (as many as the number of families) scalars f from the component(s) of its wave vector (e.g the scalar wave vector if...

Ngày tải lên: 24/04/2014, 16:50

287 805 0
chen f.f., chang j.p. lecture notes on principles of plasma processing

chen f.f., chang j.p. lecture notes on principles of plasma processing

... Mobility, diffusion, ambipolar diffusion (Chen, p.155ff) Now that we know the collision rates, we can see how they affect the motions of the plasma particles If we apply an electric field E (V/m) ... (radio) waves In water, we have sound waves and, well, water waves In a plasma, we have electromagnetic waves and two kinds of sound Part A1 waves, one for each charge species Of course, if the ... being high in the middle and tapering off toward the walls Each species will diffuse toward the wall; more specifically, toward regions of lower density The diffusion velocity is proportional to...

Ngày tải lên: 24/04/2014, 17:17

249 780 0
cognition and memory  -  f. klix, j. hoffmann (north - holland, 1980)

cognition and memory - f. klix, j. hoffmann (north - holland, 1980)

... assertive functions as well as procedural functions since we are clearly equipped with both factual know-how (assertive knowledge) and performance know-how (procedural knowledge) The way in which we ... simple example of assertive functions can be found in the following “Production System for Meaning of Traffic Lights at a Crosswald”: Production : bLTraffic light is green” + Signalfor “ Walk” Production ... comprehension of meaning, regardless of whether recognition of an object or recognition of a sign or symbol for an object is concerned Hence it follows: The volume of information bearers of a memory which...

Ngày tải lên: 12/05/2014, 17:34

307 197 0
Nghiên cứu khoa học " Loài nấm Phaeophleospora destructans (M.J. Wingf. & Crous) Crous, F.A. Ferreira & B. Sutton gây bệnh đốm đen lá bạch đàn lần đầu tiên được phát hiện ở Việt Nam " docx

Nghiên cứu khoa học " Loài nấm Phaeophleospora destructans (M.J. Wingf. & Crous) Crous, F.A. Ferreira & B. Sutton gây bệnh đốm đen lá bạch đàn lần đầu tiên được phát hiện ở Việt Nam " docx

... khiết Dựa vào khoá phân loại Crous, P .W. , Ferreira, F. A Sutton B 1997, nấm gây bệnh xác định loài: Phaeophleospora destructans (M .J Wingf & Crous) Crous, F. A Ferreira & B Sutton Cây chủ phân bố: ... theo hướng dẫn Ken Old P.Q Thu, 1999 Giám định nấm bệnh dựa khoá định loại mô tả Crous, P .W. , Ferreira, F. A Sutton B 1997 Phân lập nấm: phân lập nấm từ tổ chức bị bệnh áp dụng phương pháp nuôi ... Đông Thái Lan gây nên dịch đốm đen rụng hết số dòng Bạch đàn trắng E Camaldulensis (Ken Old, M Wingf., Pongpanich, 2003) Loài nấm gây bệnh bắt đầu xuất Việt Nam từ cuối năm 2002, gây bệnh cho rừng...

Ngày tải lên: 21/06/2014, 03:20

5 387 2
Collision Avoidance Rules A N Cockcroft and J N F pot

Collision Avoidance Rules A N Cockcroft and J N F pot

... 20th February, 1962, the certificates of both masters were suspended for a period of twelve months An action for damages was brought by the owners of the Crystal Jewel against the owners of the ... like aircraft, but are not aircraft and therefore the definition of ‘seaplane’ is not applicable to WIG craft WIG craft are classified as dynamical support craft The weight of a WIG craft in operation ... thus performing a jump to overcome and overfly obstacles on the earth surface However increasing the altitude of flight of a WIG craft to perform a jump will significantly enlarge its fuel consumption...

Ngày tải lên: 27/06/2014, 17:20

282 325 0
Ship Construction Fifth edition D. J. Eyres M.Sc., F.R.I.N.A pptx

Ship Construction Fifth edition D. J. Eyres M.Sc., F.R.I.N.A pptx

... Multi-hulls Including wave piercers Small waterplane area, twin-hull (SWATH) Surface effect ship (SES) and Hovercraft Hydrofoil Wing in ground effect craft (WIG) Off shore oil vessels Fishing vessels ... water system Deadweight is the difference between the lightweight and loaded displacement, i.e it is the weight of cargo plus weights of fuel, stores, water ballast, fresh water, crew and passengers, ... techniques without neglecting basic principles Shipbuilding covers a wide field of crafts and, with new developments occurring regularly, it would be difficult to cover every facet fully within the...

Ngày tải lên: 27/06/2014, 18:20

366 924 0
Project Gutenberg''''s Researches on Cellulose, by C. F. Cross and E. J. Bevan pptx

Project Gutenberg''''s Researches on Cellulose, by C. F. Cross and E. J. Bevan pptx

... gives a brief account of researches which have been subsequently published, as well as of certain of our own investigations, the results of which are now for the first time recorded We have not ... of starch This unique product of plant life has a literature of its own, and how little of this is fully known to what we may term the 'average chemist' is seen by the methods he will employ for ... of facts and welldefined probabilities, it is clear that the further investigation of the furfuroid group will take its stand upon a much more adequate basis than heretofore On the view of 'furfural-yielding'...

Ngày tải lên: 28/06/2014, 19:20

580 483 0
radiosity and realistic image synthesis cohen m.f., wallace j.r. (ap, 1995)(412s)

radiosity and realistic image synthesis cohen m.f., wallace j.r. (ap, 1995)(412s)

... difference between two sources of light with different mixtures of wavelengths is that they appear to have different colors However, an equally important feature is that different mixtures of ... many difficult problems need to be solved such as the effect of illumination by direct and diffuse lighting, atmospheric diffusion, back reflection, the effect of surface texture, tonal specification ... determined with the inverse square law Bouguer founded the field of photometry well before the mechanisms of human vision were understood It is now known that different spectra have different brightnesses...

Ngày tải lên: 04/07/2014, 07:54

412 214 0
20- Matching J Stuart & F Simón, 2005T Grein, 2006

20- Matching J Stuart & F Simón, 2005T Grein, 2006

... Useful technique if employed wisely – Balanced data sets, increased precision, prevention of confounding – Can control for complex factors which would be difficult to measure otherwise • Do not match ... will bias OR towards • Complicates statistical analysis • Residual confounding by poor definition of strata • Sometimes difficult to identify appropriate controls 25 Take-home messages • Useful ... again … confounding Exposure Outcome Third variable Be associated with exposure - without being consequence of exposure Be associated with outcome - independent of exposure Control of confounders...

Ngày tải lên: 10/03/2015, 17:33

27 482 0
Some observations of the effects of time on the capacity of piles driven in sand R. J. JARDINE, J. R. STANDING and F. C. CHOW†

Some observations of the effects of time on the capacity of piles driven in sand R. J. JARDINE, J. R. STANDING and F. C. CHOW†

... Jardine, R J. , Standing, J R & Chow, F C (2006) Geotechnique 56, No 4, 227244 Some observations of the effects of time on the capacity of piles driven in sand R J JA R D I N E * , J R ... at Dunkirk, north-west France Surprisingly strong effects of time were found, which were reported by Chow et al (1997) along with a database of comparable measurements made elsewhere, and a tentative ... restrike following partial removal of the sand plug inside the pile The CLAROM group found only minor differences between the pairs of tests performed in 1989, giving no indication of any strong effect...

Ngày tải lên: 13/08/2015, 10:38

19 449 0
Organic chemistry Students guide to success in organic chemistry (2005)  R.F. Daley, S.J. Daley

Organic chemistry Students guide to success in organic chemistry (2005) R.F. Daley, S.J. Daley

... of the work of Felix Hoffmann Hoffmann learned how to prepare aspirin from natural salicylic acid For hundreds of years, people had chewed the bark of the willow tree to relieve minor pain Willow ... turning out differently than you had expected? Do you just junk the project, or you find yourself trying to figure out what went wrong or how you can use the project some other way? Many of the great ... tank open, he found it filled with a waxy white powder The molecules of www.ochem4free.com July 2005 Organic Chemistry - Ch 14 Daley & Daley tetrafluoroethylene had reacted together to form a polymer,...

Ngày tải lên: 21/05/2016, 15:31

414 712 0
Ben j , ph d  whalley, kate e , ph d  fletcher, sam e  weston, rachel l , ph d  howard, calre f , ph d  rawlinson foundation in pharmacy practice pharmaceutical press (2008)

Ben j , ph d whalley, kate e , ph d fletcher, sam e weston, rachel l , ph d howard, calre f , ph d rawlinson foundation in pharmacy practice pharmaceutical press (2008)

... Centre for Pharmacy Postgraduate Education – www.cppe.manchester.ac.uk Crown Report (1999) Review of Prescribing, Supply and Administration of Medicines Final report www.jcn.co.uk/pdf/crownreport2.pdf ... whole, and for individual members of staff • financial strategy and planning – an essential component for running any business successfully, both for review of past performance and also for future ... improvements in quality of care Further information on the QOF can be found at www.ic.nhs.uk/services/qof and www.primarycarecontracting.nhs.uk Pharmacist roles within the NHS provision of healthcare services,...

Ngày tải lên: 26/10/2016, 15:48

225 559 0
2009-04 f.doc

2009-04 f.doc

... 20-Part : finish within 22 minutes Dar Pfeiffer Reports Strong Q2 Profit On Wednesday, Dar Pfeiffer, one of the largest brokerage firms in the world, reported a second-quarter profit that was 53% ... What is Dar Pfeiffer? (a) A brokerage firm (b) An accounting firm (c) A market analyst firm (d) An investment banking firm 154 What did Dar Pfeiffer report? (a) That it plans to offer new services ... the deal with Tapcourt, Dar Pfeiffer would have reported a profit 23% larger than expected Either way, Dar Pfeiffer topped market predictions for performance by at least $1.58 a share 153 What is...

Ngày tải lên: 15/08/2012, 11:01

25 1,6K 3